What to do:
Your job: say how many lines of the contents further below hold the word "relaxed", as a bare number.

Excerpt:
A plane-wave DFT calculation with GGA+U was carried out for a relaxed structure of Li4CrH8SO7.

Structure (CIF):
```
data_Li4CrH8SO7
_cell_length_a 5.3578
_cell_length_b 13.1541
_cell_length_c 10.5429
_cell_angle_alpha 90.00
_cell_angle_beta 105.07
_cell_angle_gamma 90.00
_space_group_name_H-M_alt 'P 1'
_space_group_IT_number 1
_space_group_name_Hall 'P 1'
loop_
_atom_site_label
_atom_site_type_symbol
_atom_site_fract_x
_atom_site_fract_y
_atom_site_fract_z
Li1 Li 0.0017 0.2168 0.2223
Li2 Li 0.0017 0.2832 0.7223
Li3 Li 0.2485 0.5490 0.5079
Li4 Li 0.2485 0.9510 0.0079
Li5 Li 0.2513 0.7197 0.0223
Li6 Li 0.2513 0.7803 0.5223
Li7 Li 0.4870 0.1984 0.7408
Li8 Li 0.4870 0.3016 0.2408
Li9 Li 0.5130 0.6984 0.7592
Li10 Li 0.5130 0.8016 0.2592
Li11 Li 0.7487 0.2197 0.4777
Li12 Li 0.7487 0.2803 0.9777
Li13 Li 0.7515 0.0490 0.9921
Li14 Li 0.7515 0.4510 0.4921
Li15 Li 0.9983 0.7168 0.2777
Li16 Li 0.9983 0.7832 0.7777
Cr1 Cr 0.2503 0.1858 0.9834
Cr2 Cr 0.2503 0.3142 0.4834
Cr3 Cr 0.7497 0.6858 0.5166
Cr4 Cr 0.7497 0.8142 0.0166
H1 H 0.0198 0.0386 0.3607
H2 H 0.0198 0.4614 0.8607
H3 H 0.1043 0.6194 0.6959
H4 H 0.1043 0.8806 0.1959
H5 H 0.1655 0.1375 0.5621
H6 H 0.1655 0.3625 0.0621
H7 H 0.2486 0.0684 0.1796
H8 H 0.2486 0.4316 0.6796
H9 H 0.2665 0.0407 0.8140
H10 H 0.2665 0.4593 0.3140
H11 H 0.2853 0.5407 0.1466
H12 H 0.2853 0.9593 0.6466
H13 H 0.3543 0.1416 0.3795
H14 H 0.3543 0.3584 0.8795
H15 H 0.3641 0.6418 0.3292
H16 H 0.3641 0.8582 0.8292
H17 H 0.6359 0.1418 0.1708
H18 H 0.6359 0.3582 0.6708
H19 H 0.6457 0.6416 0.1205
H20 H 0.6457 0.8584 0.6205
H21 H 0.7147 0.0407 0.3534
H22 H 0.7147 0.4593 0.8534
H23 H 0.7335 0.5407 0.6860
H24 H 0.7335 0.9593 0.1860
H25 H 0.7514 0.5684 0.3204
H26 H 0.7514 0.9316 0.8204
H27 H 0.8345 0.6375 0.9379
H28 H 0.8345 0.8625 0.4379
H29 H 0.8957 0.1194 0.8041
H30 H 0.8957 0.3806 0.3041
H31 H 0.9802 0.5386 0.1393
H32 H 0.9802 0.9614 0.6393
S1 S 0.4058 0.5264 0.9046
S2 S 0.4058 0.9736 0.4046
S3 S 0.5942 0.0264 0.5954
S4 S 0.5942 0.4736 0.0954
O1 O 0.1096 0.6807 0.6447
O2 O 0.1096 0.8193 0.1447
O3 O 0.1191 0.2050 0.5863
O4 O 0.1191 0.2950 0.0863
O5 O 0.1252 0.0816 0.0949
O6 O 0.1252 0.4184 0.5949
O7 O 0.1422 0.5791 0.1710
O8 O 0.1422 0.9209 0.6710
O9 O 0.3684 0.2151 0.3637
O10 O 0.3684 0.2849 0.8637
O11 O 0.3875 0.0760 0.8858
O12 O 0.3875 0.4240 0.3858
O13 O 0.3922 0.6974 0.3930
O14 O 0.3922 0.8026 0.8930
O15 O 0.6078 0.1974 0.1070
O16 O 0.6078 0.3026 0.6070
O17 O 0.6125 0.5760 0.6142
O18 O 0.6125 0.9240 0.1142
O19 O 0.6316 0.7151 0.1363
O20 O 0.6316 0.7849 0.6363
O21 O 0.8578 0.0791 0.3290
O22 O 0.8578 0.4209 0.8290
O23 O 0.8748 0.5816 0.4051
O24 O 0.8748 0.9184 0.9051
O25 O 0.8809 0.7050 0.9137
O26 O 0.8809 0.7950 0.4137
O27 O 0.8904 0.1807 0.8553
O28 O 0.8904 0.3193 0.3553
```

Output
total magnetization: 0.1429 μB/atom
formation energy: -1607 meV/atom
symmetry: P2_1/c
crystal system: monoclinic

=====

A plane-wave DFT calculation with GGA+U was carried out for a relaxed structure of MgCrH22O15.

Structure (CIF):
```
data_MgCrH22O15
_cell_length_a 6.8394
_cell_length_b 7.0431
_cell_length_c 17.5796
_cell_angle_alpha 87.59
_cell_angle_beta 89.33
_cell_angle_gamma 63.04
_space_group_name_H-M_alt 'P 1'
_space_group_IT_number 1
_space_group_name_Hall 'P 1'
loop_
_atom_site_label
_atom_site_type_symbol
_atom_site_fract_x
_atom_site_fract_y
_atom_site_fract_z
Mg1 Mg 0.0000 0.0000 0.0000
Mg2 Mg 0.0000 0.0000 0.5000
Cr1 Cr 0.4082 0.3208 0.2024
Cr2 Cr 0.5918 0.6792 0.7976
H1 H 0.0272 0.5679 0.7063
H2 H 0.0424 0.0354 0.1554
H3 H 0.0638 0.7549 0.2450
H4 H 0.0775 0.9194 0.3444
H5 H 0.1070 0.6006 0.0679
H6 H 0.1234 0.1891 0.1097
H7 H 0.1510 0.2610 0.9256
H8 H 0.1632 0.0367 0.7587
H9 H 0.2003 0.6672 0.5997
H10 H 0.2274 0.2403 0.4762
H11 H 0.2414 0.5527 0.4381
H12 H 0.2459 0.5810 0.7293
H13 H 0.2804 0.4243 0.3639
H14 H 0.2853 0.1372 0.5599
H15 H 0.2999 0.8810 0.3849
H16 H 0.3430 0.2972 0.6556
H17 H 0.3965 0.3654 0.8547
H18 H 0.3987 0.6859 0.5592
H19 H 0.4312 0.8139 0.0396
H20 H 0.4320 0.1306 0.8430
H21 H 0.4429 0.7638 0.9523

Done:
2